Asset tracking to optimize processes within companies and along the supply chain.


"Asset tracking" is the umbrella term for automated tracking of products, load carriers (e.g.,pallets), tools, goods, etc., both within and outside of factories and even throughout the supply chain in some cases. Such tracking systems aid in enhancing production efficiency and monitoring increasingly interconnected value chains.

Calculated crystals that have nothing to do with the article >
┌──
1.
For CdCu2Au6, the GGA-PBE geometry in Alexandria gives the computed PXRD pattern in this record (copper Kα).
Lines closer than 0.1° are merged.

Principal peaks in the range 2θ from 10° to 90°, in order of falling intensity:
38.1°, intensity 100, hkl 3 0 1
44.9°, intensity 31, hkl 3 3 0
78.2°, intensity 24, hkl 6 3 1
63.9°, intensity 22, hkl 3 3 2
43.0°, intensity 18, hkl 0 0 2
75.5°, intensity 14, hkl 3 0 3
81.5°, intensity 11, hkl 6 0 2
65.4°, intensity 10, hkl 6 0 0

```
data_CdCu2Au6
_cell_length_a 8.567
_cell_length_b 8.567
_cell_length_c 4.206
_cell_angle_alpha 90.00
_cell_angle_beta 90.00
_cell_angle_gamma 90.00
_space_group_name_H-M_alt 'P 42/m n m'
_space_group_IT_number 136
_space_group_name_Hall '-P 4n 2n'
loop_
_atom_site_label
_atom_site_fract_x
_atom_site_fract_y
_atom_site_fract_z
_atom_site_occupancy
Cd1 0.000 0.000 0.000 1
Cu1 0.175 0.175 0.500 1
Au1 0.001 0.330 0.000 1
Au2 0.162 0.838 0.500 1
```

***

2.
For Re2BiC, the GGA-PBE geometry in Alexandria gives the computed PXRD pattern in this record (copper Kα).
Lines closer than 0.1° are merged.

Principal peaks in the range 2θ from 10° to 90°, in order of falling intensity:
28.0°, intensity 100, hkl 1 0 3
41.8°, intensity 94, hkl 2 1 1
29.4°, intensity 93, hkl 1 1 2
40.3°, intensity 39, hkl 1 0 5
47.0°, intensity 32, hkl 2 0 4
39.4°, intensity 31, hkl 2 0 2
67.4°, intensity 24, hkl 2 1 7
50.9°, intensity 21, hkl 1 1 6

```
data_Re2BiC
_cell_length_a 4.906
_cell_length_b 4.906
_cell_length_c 12.563
_cell_angle_alpha 90.00
_cell_angle_beta 90.00
_cell_angle_gamma 90.00
_space_group_name_H-M_alt 'I -4 2 d'
_space_group_IT_number 122
_space_group_name_Hall 'I -4 2bw'
loop_
_atom_site_label
_atom_site_fract_x
_atom_site_fract_y
_atom_site_fract_z
_atom_site_occupancy
Re1 0.094 0.250 0.125 1
Bi1 0.000 0.000 0.500 1
C1 0.000 0.000 0.000 1
```

***

3.
For SmDy3Er2, the GGA-PBE geometry in Alexandria gives the computed PXRD pattern in this record (copper Kα).
Lines closer than 0.1° are merged.

Principal peaks in the range 2θ from 10° to 90°, in order of falling intensity:
32.1°, intensity 100, hkl 0 2 -1
33.8°, intensity 90, hkl 0 2 2
31.4°, intensity 51, hkl 0 0 3
61.3°, intensity 46, hkl 4 2 4
51.1°, intensity 39, hkl 4 2 1
29.1°, intensity 36, hkl 2 2 1
55.2°, intensity 21, hkl 0 2 -4
58.6°, intensity 19, hkl 0 2 5

```
data_SmDy3Er2
_cell_length_a 7.139
_cell_length_b 7.145
_cell_length_c 8.795
_cell_angle_alpha 78.26
_cell_angle_beta 78.26
_cell_angle_gamma 60.06
_space_group_name_H-M_alt 'P -1'
_space_group_IT_number 2
_space_group_name_Hall '-P 1'
loop_
_atom_site_label
_atom_site_fract_x
_atom_site_fract_y
_atom_site_fract_z
_atom_site_occupancy
Sm1 0.250 0.250 0.001 1
Dy1 0.139 0.139 0.665 1
Dy2 0.250 0.750 0.999 1
Dy3 0.361 0.861 0.336 1
Er1 0.140 0.638 0.664 1
Er2 0.360 0.362 0.335 1
```

***

4.
For Fe3Rh13, the GGA-PBE geometry in Alexandria gives the computed PXRD pattern in this record (copper Kα).
Lines closer than 0.1° are merged.
└──
The article goes on >

Project Content

Asset tracking offers companies advantages in tasks such as resource planning, inventory management, and supply chain optimization. Many other application areas are conceivable, but to determine whether certain innovations are practical, they need to be tested. For a company to adopt a new technology, it must not only prove its usefulness but also justify the investment and provide a competitive advantage. During the LogiTRAAK project, we are developing an approach model that considers these aspects. It will aid decision-making by estimating how asset tracking applications can be successfully implemented. We are also investigating various use cases for asset tracking with our corporate partners to explore the opportunities they present. Furthermore, we place great emphasis on sustainability analyses, focusing on both ecological and social aspects.

********
# 1
Starting from the GGA-PBE geometry in Alexandria, the powder XRD pattern of Cs8Na4Y3HoCl24 was computed for CuKα.
Intensities are scaled so that the largest is 100.

Most intense lines, 10 to 90 degrees two-theta, in order of rising 2θ:
| h k l | Position (°2θ) | Rel. int. |
| --- | --- | --- |
| 1 1 0 | 14.1 | 19 |
| 2 0 0 | 23.1 | 100 |
| 2 2 0 | 28.4 | 47 |
| 2 0 4 | 32.9 | 73 |
| 3 2 2 | 40.5 | 46 |
| 4 0 0 | 47.2 | 50 |
| 4 0 4 | 53.1 | 22 |
| 4 2 4 | 55.9 | 17 |
| 5 2 2 | 63.9 | 25 |
| 6 0 4 | 78.5 | 21 |

Atomic structure:
a = 7.7085 Å, b = 10.9028 Å, c = 15.4225 Å
α = 90.00°, β = 90.00°, γ = 90.00°
Space group Pmmm (No. 47)
Symmetry-distinct sites (fractional):
Cs (0.0000, 0.2500, 0.0000) x2
Cs (0.0000, 0.2498, 0.5000) x2
Cs (0.5000, 0.2499, 0.2501) x4
Na (0.0000, 0.0000, 0.2503) x2
Na (0.5000, 0.5000, 0.0000) x1
Na (0.5000, 0.5000, 0.5000) x1
Y (0.0000, 0.5000, 0.2500) x2
Y (0.5000, 0.0000, 0.0000) x1
Ho (0.5000, 0.0000, 0.5000) x1
Cl (0.0000, 0.2572, 0.2501) x4
Cl (0.2427, 0.5000, 0.1287) x4
Cl (0.2429, 0.5000, 0.3714) x4
Cl (0.2572, 0.0000, 0.1214) x4
Cl (0.2584, 0.0000, 0.3793) x4
Cl (0.5000, 0.2415, 0.5000) x2
Cl (0.5000, 0.2428, 0.0000) x2


# 2
Starting from the GGA-PBE geometry in Alexandria, the powder XRD pattern of Pr2HgAuO5 was computed for CuKα.
Intensities are scaled so that the largest is 100.

Most intense lines, 10 to 90 degrees two-theta, in order of rising 2θ:
| h k l | Position (°2θ) | Rel. int. |
| --- | --- | --- |
| 2 0 0 | 25.3 | 14 |
| 2 0 1 | 29.6 | 100 |
| 0 0 2 | 30.6 | 30 |
| 2 1 1 | 32.3 | 21 |
| 2 2 0 | 36.1 | 26 |
| 2 1 2 | 42.2 | 15 |
| 2 2 2 | 48.0 | 24 |
| 2 0 3 | 53.8 | 19 |
| 4 0 1 | 54.4 | 13 |
| 4 2 2 | 67.6 | 13 |

Atomic structure:
a = 7.0400 Å, b = 7.0400 Å, c = 5.8430 Å
α = 90.00°, β = 90.00°, γ = 90.00°
Space group P4/mbm (No. 127)
Symmetry-distinct sites (fractional):
Pr (0.1768, 0.3232, 0.0000) x4
Hg (0.0000, 0.0000, 0.5000) x2
Au (0.0000, 0.5000, 0.5000) x2
O (0.0000, 0.0000, 0.0000) x2
O (0.1301, 0.6301, 0.2364) x8


# 3
Starting from the GGA-PBE geometry in Alexandria, the powder XRD pattern of Na5Cu2Sn4 was computed for CuKα.
Intensities are scaled so that the largest is 100.

Most intense lines, 10 to 90 degrees two-theta, in order of rising 2θ:
| h k l | Position (°2θ) | Rel. int. |
| --- | --- | --- |
| 1 0 0 | 10.8 | 100 |
| 1 0 -1 | 13.2 | 65 |
| 1 0 -2 | 20.0 | 23 |
| 3 0 0 | 32.8 | 31 |
| 2 0 -3 | 33.0 | 82 |
| 2 1 0 | 34.1 | 60 |
| 1 1 2 | 34.5 | 53 |
| 2 1 -2 | 37.6 | 27 |
| 0 1 3 | 38.1 | 31 |
| 2 1 -3 | 42.5 | 29 |

Atomic structure:
a = 8.2506 Å, b = 3.4289 Å, c = 9.8270 Å
α = 90.00°, β = 97.11°, γ = 90.00°
Space group P2/m (No. 10)
Symmetry-distinct sites (fractional):
Na (0.0000, 0.0000, 0.0000) x1
Na (0.0354, 0.0000, 0.3416) x2
Na (0.3629, 0.0000, 0.8689) x2
Cu (0.4243, 0.0000, 0.3783) x2
Sn (0.3012, 0.5000, 0.1758) x2
Sn (0.3082, 0.5000, 0.5686) x2


# 4
Starting from the GGA-PBE geometry in Alexandria, the powder XRD pattern of Zr3Ni5 was computed for CuKα.
********
[So much for the calculated crystals]


The overarching goal of the project is to develop track and trace technologies that companies can profitably use for their purposes. Unlike previous projects, we take a more holistic approach, rather than focusing solely on individual use cases. This means that, in addition to technology and data analysis, we give significant importance to economic viability and sustainability. Below are our research priorities and the advantages we see in using asset tracking:

  • Improved product lifecycles: Asset tracking enables tracking the lifecycle of a product. When companies know when and how often a product needs repair or replacement, they can take appropriate measures to extend its lifespan.
  • More recycling and reuse through better traceability: Asset tracking can help handle physical assets more carefully, minimize resource waste, and promote recycling.
  • Increased transparency: Asset tracking increases transparency in the supply chain, enabling more effective and sustainable resource management.
  • Improved efficiency and reduced ecological and social impacts: Asset tracking can detect inefficient processes (e.g., redundant or superfluous pathways, high search times) and help to reduce them. This leads to economic (e.g., savings), ecological (e.g., lower energy consumption, fewer emissions due to reduced pathways), and social (e.g., working conditions, employee workload) benefits.

Methodology and Research Areas

The major pillars of the project are sensor-based data collection, data analysis and modelling, as well as sustainability and economic assessments.

  • Sensor-based Data Collection: We develop and implement systems that determine the location and condition of assets (i.e., goods, products, and their components, etc.).
  • Data Analysis and Modelling: We employ analytical approaches and modelling techniques to detect patterns and trends in the data, paving the way for making forecasts. A challenging issue is ensuring the secure transmission of data throughout the value chain. The idea is to create added value without disclosing confidential information.
  • Sustainability and Economic Assessments: We look at how asset tracking can be used economically, depending on the application, and how it might lead to more sustainable production conditions. We use the data gathered to assess and quantify environmental impacts, social conditions, efficiency gains, and cost savings. Additionally, we identify data necessary for implementing a Digital Product Passport and a circular economy.

We also create an environment that fosters cross-learning effects within and between companies.


The project outcomes support Austrian companies in streamlining their business processes – encompassing large parts of the value chain such as production, logistics, supply chain management. Each partner company in the project receives a functioning prototype for a specific use case in the field of asset tracking. This prototype is based on feasibility study and does not meet the requirements (and technology level) for immediate integration into the production environment. Aside from gaining technical expertise participating company also acquire essential knowledge about national and international regulations such as the EU Green Deal, the Sustainable Development Goals (SDGs), and supply chain due diligence.

Organisations involved

Research Partners


You want to know more. Feel free to ask.

**Attached: crystal structures:**
'''
1.
Structure and calculated XRD peak list of SbAu7 (a cell relaxed with PBE; Cu Ka).

Cell and atoms:
abc: 2.9586 2.9586 44.5257
angles: 90.00 90.00 90.00
Atoms (fractional coordinates):
Sb (0.2500, 0.2500, 0.1504)
Sb (0.7500, 0.7500, 0.8496)
Au (0.2500, 0.2500, 0.2492)
Au (0.2500, 0.2500, 0.3409)
Au (0.2500, 0.2500, 0.4319)
Au (0.2500, 0.2500, 0.5227)
Au (0.2500, 0.2500, 0.6135)
Au (0.2500, 0.2500, 0.7048)
Au (0.2500, 0.2500, 0.7979)
Au (0.7500, 0.7500, 0.2021)
Au (0.7500, 0.7500, 0.2952)
Au (0.7500, 0.7500, 0.3865)
Au (0.7500, 0.7500, 0.4773)
Au (0.7500, 0.7500, 0.5681)
Au (0.7500, 0.7500, 0.6591)
Au (0.7500, 0.7500, 0.7508)

Principal peaks in the range 2θ from 15° to 90°, most intense first:
two_theta	intensity
37.66	100
43.25	35
75.61	27
36.46	22
64.01	20
62.83	15
44.78	14
80.41	11
77.80	10
43.30	10

=====

2.
Structure and calculated XRD peak list of TbY2Ni2B2N3 (a cell relaxed with PBE; Cu Ka).

Cell and atoms:
abc: 10.3547 10.3547 10.3547
angles: 160.64 160.64 27.51
Atoms (fractional coordinates):
Tb (0.0000, 0.0000, 0.0000)
Y (0.3768, 0.3768, 0.0000)
Y (0.6232, 0.6232, 0.0000)
Ni (0.2500, 0.7500, 0.5000)
Ni (0.7500, 0.2500, 0.5000)
B (0.1895, 0.1895, 0.0000)
B (0.8105, 0.8105, 0.0000)
N (0.1170, 0.1170, 0.0000)
N (0.5000, 0.5000, 0.0000)
N (0.8830, 0.8830, 0.0000)

Principal peaks in the range 2θ from 15° to 90°, most intense first:
two_theta	intensity
28.90	100
34.06	87
37.62	79
35.71	63
52.57	45
45.72	43
65.18	40
36.50	34
64.14	28
59.33	27

=====

3.
Structure and calculated XRD peak list of Li2Zn3GePt2 (a cell relaxed with PBE; Cu Ka).

Cell and atoms:
abc: 4.3251 4.3251 6.0987
angles: 90.00 90.00 90.00
Atoms (fractional coordinates):
Li (0.0000, 0.5000, 0.2468)
Li (0.5000, 0.0000, 0.7532)
Zn (0.0000, 0.0000, 0.0000)
Zn (0.5000, 0.5000, 0.0000)
Zn (0.5000, 0.5000, 0.5000)
Ge (0.0000, 0.0000, 0.5000)
Pt (0.0000, 0.5000, 0.7406)
Pt (0.5000, 0.0000, 0.2594)

Principal peaks in the range 2θ from 15° to 90°, most intense first:
two_theta	intensity
41.81	100
25.24	75
49.43	25
76.30	22
66.72	15
49.55	12
60.55	11
76.44	11
81.86	9
60.75	5

=====

4.
Structure and calculated XRD peak list of Dy2Lu3Al3 (a cell relaxed with PBE; Cu Ka).

Cell and atoms:
abc: 6.4349 4.9175 6.4469
angles: 90.00 103.44 90.00
Atoms (fractional coordinates):
Dy (0.0000, 0.0000, 0.0000)
Dy (0.3016, 0.5000, 0.7864)
Lu (0.2918, 0.5000, 0.2847)
Lu (0.5779, 0.0000, 0.5667)
Lu (0.7902, 0.5000, 0.2841)
Al (0.0745, 0.0000, 0.5022)
Al (0.5079, 0.0000, 0.0725)
Al (0.7942, 0.5000, 0.7769)

Principal peaks in the range 2θ from 15° to 90°, most intense first:
two_theta	intensity
33.93	100
25.26	24
35.51	23
36.55	22
64.12	16
51.87	16
22.99	15
22.28	13
45.47	9
34.15	8

=====

5.
Structure and calculated XRD peak list of Dy2ErTm4Ni2Te2 (a cell relaxed with PBE; Cu Ka).

Cell and atoms:
abc: 9.2660 9.2660 9.2660
angles: 156.18 66.90 118.53
Atoms (fractional coordinates):
Dy (0.1470, 0.0000, 0.1470)
Dy (0.8530, 0.0000, 0.8530)
Er (0.7694, 0.2694, 0.5000)
Tm (0.2187, 0.8526, 0.3661)
'''

Head of
Digital Technologies Research Group
Institute of Creative\Media/Technologies
Digital Technologies Research Group
Institute of Creative\Media/Technologies
Department of Media and Digital Technologies
Location: A - Campus-Platz 1
M: +43/676/847 228 618
  • WU Wien
  • IMG Consulting
  • Fraunhofer Austria
  • Fotec
  • Know Center
  • voestalpine
  • umdaschgroup ventures
  • ZKW
  • Testfuchs
  • Lenze
  • welser profile
  • Aerospace Precision Strip
  • EVN
  • frauenthal HANDEL GRUPPE
  • RATH
  • GG
  • HERKA frottier
  • KLINGER Fluid Control
  • Instantina
  • eco plus
  • POTTINGER Entsorgungstechnik
  • schmid schrauben hainfeld
  • storaenso
  • IAG
eco plus Wirtschaftsagentur NÖ (Auftrag)
03/01/2024 – 02/28/2026
Involved Institutes, Groups and Centers
Carl Ritter von Ghega Institute for Integrated Mobility Research
Institute of Creative\Media/Technologies
Research Group Digital Technologies